== Assignment ==
Set down only the last part of the lines underneath, starting with the line that has "1.5088], [-0.9968,".

== Entries ==
┌──
Entry 1:
{"formula": "C2H3N3O2", "method": "the ωB97M-V functional and the def2-TZVPD basis", "elements": ["C", "C", "N", "N", "N", "O", "O", "H", "H", "H"], "positions_angstrom": [[1.29533, -0.02524, -0.76752], [0.08211, -0.45553, -0.56545], [0.39274, -1.67587, -2.52902], [1.49697, -1.11728, -2.47629], [-0.73455, -0.25622, 0.55919], [2.41564, -1.02475, -3.23584], [-0.46678, -1.33163, -1.56874], [2.11542, 0.63098, -0.78409], [-1.26137, 0.57504, 0.61417], [-1.33576, -1.09529, 0.61924]], "forces_ev_per_a": [[-0.1668, -2.4860, -3.8745], [0.1409, 0.5008, 0.2575], [-0.0071, -1.2240, -1.8741], [-1.0955, 3.5436, 4.1580], [0.0727, -2.7009, -0.7625], [0.4727, -0.7421, -0.5733], [0.3869, 0.6764, 1.9797], [0.5405, 0.4896, 0.6507], [-0.5024, 1.0156, -0.2403], [0.1579, 0.9269, 0.2788]], "gap_ev": 9.5170, "relative_energy_kcal_mol": 163.7, "e_tot_ev": -10681.3594, "total_charge": 0}

---

Entry 2:
{"formula": "C2H3N3O2", "method": "the ωB97M-V functional and the def2-TZVPD basis", "elements": ["O", "C", "N", "N", "C", "N", "O", "H", "H", "H"], "positions_angstrom": [[-2.85259, -1.12498, 0.51319], [-2.32882, -0.24751, -0.00287], [-2.34285, 1.02732, -0.38521], [-1.17454, 0.06217, -0.76085], [0.07946, 0.08372, -0.16547], [0.92616, -0.82426, -0.32908], [2.07332, -0.20614, 0.10458], [-2.23699, 1.77650, 0.41764], [0.56835, 1.00017, 0.15379], [2.91982, -0.56371, -0.24169]], "forces_ev_per_a": [[-1.7792, -2.6239, 1.9764], [1.7003, 0.7413, -1.8160], [0.3264, 3.3714, 1.5088], [-0.9968, -0.3919, 0.1396], [-0.1787, 1.4860, -0.5407], [0.1033, -1.0876, -0.7074], [3.0595, 0.3461, 1.0207], [0.1690, -1.9303, -1.7782], [-1.0043, 0.6458, 0.2459], [-1.3995, -0.5568, -0.0491]], "gap_ev": 9.9232, "relative_energy_kcal_mol": 134.8, "e_tot_ev": -10682.6109, "smiles": "O=C1NN1/C=N/O", "total_charge": 0}

---

Entry 3:
{"formula": "C2H3N3O2", "method": "the ωB97M-V functional and the def2-TZVPD basis", "elements": ["C", "C", "H", "H", "H", "N", "N", "N", "O", "O"], "positions_angstrom": [[-0.38248, 0.09872, -0.51732], [1.12436, -0.37683, 0.76346], [-2.34355, 0.91930, -0.59146], [-1.86489, 0.03825, -2.03905], [1.11078, 0.04412, 2.59699], [-1.49893, 0.46772, -1.18373], [-0.24010, -0.02035, 0.76328], [1.65959, -0.60607, -0.39383], [1.78414, -0.21017, 1.86406], [0.65108, -0.35469, -1.26239]], "forces_ev_per_a": [[-1.3487, -1.7012, -0.9370], [-1.7335, 1.1496, -0.7405], [3.1434, -1.6787, -1.6749], [0.9844, 0.1287, 0.6143], [1.6517, -0.7013, -1.9151], [-3.8159, 1.9515, 1.1086], [1.7299, 0.4231, -0.7726], [1.4969, -0.6313, 1.5845], [-0.2081, 0.0327, 3.4805], [-1.9001, 1.0268, -0.7477]], "gap_ev": 9.8772, "relative_energy_kcal_mol": 48.4, "e_tot_ev": -10686.3574, "total_charge": 0}

---

Entry 4:
{"formula": "C2H3N3O2", "method": "the ωB97M-V functional and the def2-TZVPD basis", "elements": ["N", "C", "N", "O", "C", "O", "N", "H", "H", "H"], "positions_angstrom": [[1.19755, 0.98441, -0.93663], [0.16917, 0.39713, -0.24282], [-1.03862, 0.62403, -0.64016], [-1.82886, -0.34337, -0.00608], [-1.06792, -1.12411, 0.79479], [-1.45994, -2.07548, 1.41062], [0.21713, -0.58704, 0.70934], [0.72005, 1.55068, -1.63178], [1.93517, 1.47490, -0.44849], [1.01672, -1.02680, 1.13417]], "forces_ev_per_a": [[0.0058, 0.0735, 0.0276], [-0.4508, 0.0040, -0.1885], [0.2750, -0.0340, -0.0883], [-0.3061, -0.2244, 0.3402], [-0.0955, -0.2282, 0.2004], [0.2811, 0.3830, -0.0705], [-0.0135, -0.1259, -0.1150], [0.5585, 0.1814, -0.0850], [-0.2216, -0.0908, 0.1512], [-0.0329, 0.0614, -0.1722]], "gap_ev": 9.8803, "relative_energy_kcal_mol": 27.0, "e_tot_ev": -10687.2870, "smiles": "Nc1noc(=O)[nH]1", "total_charge": 0}

---
└──

== Outcome ==
{"formula": "C2H3N3O2", "method": "the ωB97M-V functional and the def2-TZVPD basis", "elements": ["O", "C", "N", "N", "C", "N", "O", "H", "H", "H"], "positions_angstrom": [[-2.85259, -1.12498, 0.51319], [-2.32882, -0.24751, -0.00287], [-2.34285, 1.02732, -0.38521], [-1.17454, 0.06217, -0.76085], [0.07946, 0.08372, -0.16547], [0.92616, -0.82426, -0.32908], [2.07332, -0.20614, 0.10458], [-2.23699, 1.77650, 0.41764], [0.56835, 1.00017, 0.15379], [2.91982, -0.56371, -0.24169]], "forces_ev_per_a": [[-1.7792, -2.6239, 1.9764], [1.7003, 0.7413, -1.8160], [0.3264, 3.3714, 1.5088], [-0.9968, -0.3919, 0.1396], [-0.1787, 1.4860, -0.5407], [0.1033, -1.0876, -0.7074], [3.0595, 0.3461, 1.0207], [0.1690, -1.9303, -1.7782], [-1.0043, 0.6458, 0.2459], [-1.3995, -0.5568, -0.0491]], "gap_ev": 9.9232, "relative_energy_kcal_mol": 134.8, "e_tot_ev": -10682.6109, "smiles": "O=C1NN1/C=N/O", "total_charge": 0}

---

Entry 3:
{"formula": "C2H3N3O2", "method": "the ωB97M-V functional and the def2-TZVPD basis", "elements": ["C", "C", "H", "H", "H", "N", "N", "N", "O", "O"], "positions_angstrom": [[-0.38248, 0.09872, -0.51732], [1.12436, -0.37683, 0.76346], [-2.34355, 0.91930, -0.59146], [-1.86489, 0.03825, -2.03905], [1.11078, 0.04412, 2.59699], [-1.49893, 0.46772, -1.18373], [-0.24010, -0.02035, 0.76328], [1.65959, -0.60607, -0.39383], [1.78414, -0.21017, 1.86406], [0.65108, -0.35469, -1.26239]], "forces_ev_per_a": [[-1.3487, -1.7012, -0.9370], [-1.7335, 1.1496, -0.7405], [3.1434, -1.6787, -1.6749], [0.9844, 0.1287, 0.6143], [1.6517, -0.7013, -1.9151], [-3.8159, 1.9515, 1.1086], [1.7299, 0.4231, -0.7726], [1.4969, -0.6313, 1.5845], [-0.2081, 0.0327, 3.4805], [-1.9001, 1.0268, -0.7477]], "gap_ev": 9.8772, "relative_energy_kcal_mol": 48.4, "e_tot_ev": -10686.3574, "total_charge": 0}

---

Entry 4:
{"formula": "C2H3N3O2", "method": "the ωB97M-V functional and the def2-TZVPD basis", "elements": ["N", "C", "N", "O", "C", "O", "N", "H", "H", "H"], "positions_angstrom": [[1.19755, 0.98441, -0.93663], [0.16917, 0.39713, -0.24282], [-1.03862, 0.62403, -0.64016], [-1.82886, -0.34337, -0.00608], [-1.06792, -1.12411, 0.79479], [-1.45994, -2.07548, 1.41062], [0.21713, -0.58704, 0.70934], [0.72005, 1.55068, -1.63178], [1.93517, 1.47490, -0.44849], [1.01672, -1.02680, 1.13417]], "forces_ev_per_a": [[0.0058, 0.0735, 0.0276], [-0.4508, 0.0040, -0.1885], [0.2750, -0.0340, -0.0883], [-0.3061, -0.2244, 0.3402], [-0.0955, -0.2282, 0.2004], [0.2811, 0.3830, -0.0705], [-0.0135, -0.1259, -0.1150], [0.5585, 0.1814, -0.0850], [-0.2216, -0.0908, 0.1512], [-0.0329, 0.0614, -0.1722]], "gap_ev": 9.8803, "relative_energy_kcal_mol": 27.0, "e_tot_ev": -10687.2870, "smiles": "Nc1noc(=O)[nH]1", "total_charge": 0}

---